Rotating children, without parenting

Blitz3D Forums/Blitz3D Programming/Rotating children, without parenting

Ross C(Posted 2003) [#1]
Hey, i'm a wee bit stuck with how i would rotate particles round a certain point. For example:

My particle system is single surface so i can't parent the mesh to a pivot and rotate the pivot, because then all my particles would rotate around it. Any ideas?

Rob(Posted 2003) [#2]
You need Tformpoint to rotate the vert point around another point. Do it to all four points of a quad...

_Materials data that have nothing to do with the entry_
[1]
Simulated PXRD pattern of SXeO3F2 for Cu Ka, from a structure optimized by DFT (GGA-PBE).
Intensities are scaled so that the largest is 100.

Atomic structure:
```
data_SXeO3F2
_symmetry_space_group_name_H-M 'P b c a'
_symmetry_Int_Tables_number 61
_symmetry_space_group_name_Hall '-P 2ac 2ab'
_cell_length_a 10.2766
_cell_length_b 10.4153
_cell_length_c 10.5530
_cell_angle_alpha 90.00
_cell_angle_beta 90.00
_cell_angle_gamma 90.00
loop_
_atom_site_label
_atom_site_type_symbol
_atom_site_fract_x
_atom_site_fract_y
_atom_site_fract_z
S1 S 0.0369 0.2272 0.0148
Xe1 Xe 0.1746 0.0519 0.3328
O1 O 0.0206 0.1387 0.4571
O2 O 0.0390 0.7212 0.3713
O3 O 0.1677 0.1800 0.0114
F1 F 0.0416 0.6414 0.5859
F2 F 0.1895 0.0389 0.7217
```

Most intense lines, 10° ≤ 2θ ≤ 90°, by intensity:
2θ (°)	I/Imax
18.94	100
21.04	79
24.01	69
24.34	68
37.66	60
24.18	46


[2]
Simulated PXRD pattern of TiCl3 for Cu Ka, from a structure optimized by DFT (GGA-PBE).
Intensities are scaled so that the largest is 100.

Atomic structure:
```
data_TiCl3
_symmetry_space_group_name_H-M 'C 1 2/c 1'
_symmetry_Int_Tables_number 15
_symmetry_space_group_name_Hall '-C 2yc'
_cell_length_a 6.1471
_cell_length_b 10.6109
_cell_length_c 12.7015
_cell_angle_alpha 90.00
_cell_angle_beta 91.11
_cell_angle_gamma 90.00
loop_
_atom_site_label
_atom_site_type_symbol
_atom_site_fract_x
_atom_site_fract_y
_atom_site_fract_z
Ti1 Ti 0.0000 0.0163 0.2500
Ti2 Ti 0.0000 0.3347 0.2500
Cl1 Cl 0.1437 0.1755 0.1364
Cl2 Cl 0.1751 0.1455 0.6408
Cl3 Cl 0.1746 0.4968 0.1410
```

Most intense lines, 10° ≤ 2θ ≤ 90°, by intensity:
2θ (°)	I/Imax
13.95	100
32.30	81
32.60	56
40.72	42
18.17	32
51.55	25


[3]
Simulated PXRD pattern of Rb3Hg2S3ClO12 for Cu Ka, from a structure optimized by DFT (GGA-PBE).
Intensities are scaled so that the largest is 100.

Atomic structure:
```
data_Rb3Hg2S3ClO12
_symmetry_space_group_name_H-M 'P 1 21 1'
_symmetry_Int_Tables_number 4
_symmetry_space_group_name_Hall 'P 2yb'
_cell_length_a 8.0815
_cell_length_b 10.0438
_cell_length_c 10.2435
_cell_angle_alpha 90.00
_cell_angle_beta 110.88
_cell_angle_gamma 90.00
loop_
_atom_site_label
_atom_site_type_symbol
_atom_site_fract_x
_atom_site_fract_y
_atom_site_fract_z
Rb1 Rb 0.0982 0.0000 0.2679
Rb2 Rb 0.3164 0.3680 0.1311
Rb3 Rb 0.3241 0.1955 0.6987
Hg1 Hg 0.2401 0.8225 0.9528
Hg2 Hg 0.2648 0.6010 0.4995
S1 S 0.0293 0.6526 0.1084
S2 S 0.0938 0.8575 0.6089
S3 S 0.4512 0.5395 0.8597
Cl1 Cl 0.4759 0.4469 0.4800
O1 O 0.0156 0.0083 0.9074
O2 O 0.0223 0.6984 0.9614
O3 O 0.0378 0.9941 0.5543
O4 O 0.0424 0.2838 0.3582
O5 O 0.1011 0.2329 0.8560
O6 O 0.1329 0.7888 0.4880
O7 O 0.2122 0.6725 0.2096
O8 O 0.2652 0.8665 0.7318
O9 O 0.2758 0.5292 0.7439
O10 O 0.4118 0.0941 0.1886
O11 O 0.4355 0.6154 0.9798
O12 O 0.4971 0.3949 0.9101
```

Most intense lines, 10° ≤ 2θ ≤ 90°, by intensity:
2θ (°)	I/Imax
28.36	100
26.87	76
19.97	70
14.68	63
29.35	61
27.66	57


[4]
Simulated PXRD pattern of Eu2S3 for Cu Ka, from a structure optimized by DFT (GGA-PBE).
_Here the entry continues_

Ross C(Posted 2003) [#3]
hi, thanks for your reply, but how do i specify how much rotation i want? I don't really get how the Tformpoint command works :(

Rob(Posted 2003) [#4]
From my own single surface particle system (source'll be released when I'm bored of it):
TFormVector -s\s,-s\s,0,camera,0 
VertexCoords s\surf,s\verti[0],s\x+TFormedX#(),s\y+TFormedY#(),s\z+TFormedZ#()

TFormVector s\s,-s\s,0,camera,0 
VertexCoords s\surf,s\verti[1],s\x+TFormedX#(),s\y+TFormedY#(),s\z+TFormedZ#()

TFormVector -s\s,s\s,0,camera,0 
VertexCoords s\surf,s\verti[2],s\x+TFormedX#(),s\y+TFormedY#(),s\z+TFormedZ#()

TFormVector s\s,s\s,0,camera,0 
VertexCoords s\surf,s\verti[3],s\x+TFormedX#(),s\y+TFormedY#(),s\z+TFormedZ#()

Whats interesting? well s is our scale! for a quad, it's even on all sides! the scale is tformed by the rotation in tformvector As you can see, they are tformed to the camera space..... ;)

Ross C(Posted 2003) [#5]
Um....sorry for being kinda stupid, but how do a specify how muh rotation i want. Say i want to rotate my quad around 0,0,0 by 40 deg. Again, i appreciate your help, but as you can tell, i'm a wee bit clueless :)

Rob(Posted 2003) [#6]
This is a single surface particle: it always faces the camera. To rotate it a certain point from here, is exactly like rotating 4 pixels in 2D: you use our friends cos and sin.


Where dist is the amount between them. In our example above, thats s for scale.

You add it into the final equation - this will give results like rotatesprite - I am assuming you want that behaviour? because moving a bunch of verts is simplicity - you make the vert positions = pivot position.

Rob(Posted 2003) [#7]
Code archives has a single surface thing if you're interested.

Ross C(Posted 2003) [#8]
Thanks for your help on this. The rotation i'm looking to do is the same as a sprite, ie. rotating all axis's. No doubt i'll be back here asking for help some :o)

One ideas i did have tho, was to create a mesh consisting of 1 quad, then rotate this quad to the desired rotation, then use it's vertex positions to position each quad. I think this might be a wee bit slower tho, as i'll need to rotate the quad into place for each particle.